## Activity
The reader should write out the contents underneath from the first line to the one with "-1.124 -3.343" with every line break kept.
## Entries
- - -
## A
Entry from the OMol25 dataset: a single C19H20N2O3 molecule (wB97M-V/def2-TZVPD).

Each line ends with the natural charge from an NBO analysis.
CARTESIAN COORDINATES (ANGSTROEM)
C 3.302 -1.200 3.511  -0.240
C 3.361 -0.814 2.163  -0.204
C 2.193 -0.422 1.496  -0.276
C 0.981 -0.414 2.185  0.065
C -0.351 -0.109 1.401  0.031
O -1.379 0.051 2.212  -0.880
C 0.914 -0.771 3.536  -0.249
C 2.081 -1.169 4.199  -0.209
H 4.213 -1.497 4.031  0.208
H 4.313 -0.825 1.630  0.205
H 2.178 -0.144 0.440  0.199
H -0.406 -0.919 0.633  0.120
H -0.047 -0.746 4.053  0.250
H 2.021 -1.464 5.248  0.208
C -3.773 -0.842 0.343  -0.250
O -2.586 -0.243 -0.201  -0.483
C -1.927 -0.805 -1.229  0.352
C -0.787 -0.084 -1.613  0.059
N -0.405 1.043 -0.810  -0.338
C -0.236 1.022 0.531  0.533
N -0.053 2.273 0.948  -0.313
C 0.133 2.743 2.315  -0.421
C 0.008 3.111 -0.159  -0.065
C -0.230 2.353 -1.244  -0.054
C -0.180 -0.326 -2.847  0.313
O 0.857 0.485 -3.188  -0.504
C 1.678 0.086 -4.316  -0.254
C -0.628 -1.412 -3.625  -0.343
C -1.640 -2.236 -3.136  -0.153
C -2.314 -1.949 -1.948  -0.325
H -3.929 -0.274 1.257  0.237
H -4.610 -0.710 -0.358  0.172
H -3.626 -1.907 0.575  0.184
H -0.220 1.989 3.023  0.281
H 1.194 2.970 2.497  0.210
H -0.451 3.661 2.456  0.210
H 0.203 4.161 -0.065  0.230
H -0.289 2.607 -2.285  0.241
H 2.459 0.843 -4.366  0.206
H 2.117 -0.907 -4.144  0.190
H 1.100 0.076 -5.252  0.182
H -0.158 -1.616 -4.590  0.224
H -1.931 -3.112 -3.714  0.220
H -3.147 -2.556 -1.593  0.230

Summary:
- E_HOMO (eV) = -6.90
- charge = 0

## B
Entry from the OMol25 dataset: a single C19H20N2O3 molecule (wB97M-V/def2-TZVPD).

Each line ends with the natural charge from an NBO analysis.
CARTESIAN COORDINATES (ANGSTROEM)
C -0.804 5.454 -0.589  -0.714
C -0.062 4.142 -0.724  0.691
O 1.118 4.050 -0.931  -0.546
N -0.924 3.072 -0.571  -0.641
C -0.624 1.739 -0.650  0.466
N 0.604 1.389 -0.973  -0.466
C 0.932 0.108 -1.065  0.308
C 2.361 -0.169 -1.407  -0.443
C 3.257 0.079 -0.184  -0.382
C 2.988 -0.866 0.991  -0.222
C 3.731 -0.370 2.229  -0.597
C 3.412 -2.299 0.675  -0.606
C 0.018 -0.910 -0.825  -0.331
C -1.292 -0.586 -0.478  0.162
C -1.644 0.776 -0.390  -0.308
C -2.999 1.174 -0.050  0.786
O -3.394 2.324 0.035  -0.606
O -3.907 0.201 0.188  -0.468
C -3.598 -1.121 0.128  0.390
C -4.630 -2.012 0.410  -0.266
C -4.390 -3.369 0.371  -0.177
C -3.122 -3.841 0.052  -0.226
C -2.101 -2.960 -0.228  -0.152
C -2.315 -1.578 -0.198  -0.186
H -1.580 5.521 -1.349  0.230
H -1.274 5.518 0.389  0.230
H -0.107 6.278 -0.711  0.239
H -1.904 3.261 -0.350  0.443
H 2.663 0.529 -2.189  0.239
H 2.477 -1.189 -1.772  0.204
H 3.091 1.108 0.137  0.224
H 4.302 -0.017 -0.488  0.204
H 1.913 -0.858 1.209  0.195
H 4.803 -0.351 2.044  0.200
H 3.411 0.636 2.491  0.210
H 3.541 -1.022 3.079  0.205
H 3.230 -2.945 1.532  0.209
H 2.859 -2.701 -0.171  0.198
H 4.473 -2.335 0.439  0.203
H 0.331 -1.937 -0.910  0.215
H -5.601 -1.614 0.656  0.232
H -5.187 -4.062 0.590  0.221
H -2.935 -4.904 0.024  0.219
H -1.124 -3.343 -0.471  0.215

Summary:
- structure (SMILES) = CC(=O)Nc1nc(CCC(C)C)cc2c1c(=O)oc1ccccc12
- E_HOMO (eV) = -8.86
- charge = 0

Which is most stable, and by how much? B, by 4.792 eV.

## A
Entry from the OMol25 dataset: a single C6H12OS molecule (wB97M-V/def2-TZVPD).

Each line ends with the natural charge from an NBO analysis.
CARTESIAN COORDINATES (ANGSTROEM)
C -0.918 -1.840 0.232  -0.630
C -1.152 -0.377 0.003  0.236
C -2.333 -0.106 -0.956  -0.632
O -1.235 0.407 1.225  -0.513
C -0.164 0.666 0.298  0.179
C -0.119 1.993 -0.393  -0.629
C 1.150 0.249 0.836  -0.489
S 2.238 -0.440 -0.526  -0.084
H -1.844 -2.321 0.570  0.222
H -0.690 -2.241 -0.790  0.217
H -0.078 -1.995 0.872  0.220
H -1.984 -0.285 -1.960  0.212
H -2.680 0.928 -0.949  0.219
H -3.169 -0.780 -0.792  0.219
H -1.134 2.109 -0.846  0.222
H 0.695 2.018 -1.101  0.230
H 0.099 2.665 0.422  0.219
H 0.989 -0.533 1.593  0.227
H 1.714 1.065 1.249  0.221
H 3.377 -0.349 0.230  0.134

Summary:
- structure (SMILES) = CC1(C)O[C@@]1(C)CS
- E_HOMO (eV) = -9.26
- charge = 0

## B
- - -
## Here it is
## A
Entry from the OMol25 dataset: a single C19H20N2O3 molecule (wB97M-V/def2-TZVPD).

Each line ends with the natural charge from an NBO analysis.
CARTESIAN COORDINATES (ANGSTROEM)
C 3.302 -1.200 3.511  -0.240
C 3.361 -0.814 2.163  -0.204
C 2.193 -0.422 1.496  -0.276
C 0.981 -0.414 2.185  0.065
C -0.351 -0.109 1.401  0.031
O -1.379 0.051 2.212  -0.880
C 0.914 -0.771 3.536  -0.249
C 2.081 -1.169 4.199  -0.209
H 4.213 -1.497 4.031  0.208
H 4.313 -0.825 1.630  0.205
H 2.178 -0.144 0.440  0.199
H -0.406 -0.919 0.633  0.120
H -0.047 -0.746 4.053  0.250
H 2.021 -1.464 5.248  0.208
C -3.773 -0.842 0.343  -0.250
O -2.586 -0.243 -0.201  -0.483
C -1.927 -0.805 -1.229  0.352
C -0.787 -0.084 -1.613  0.059
N -0.405 1.043 -0.810  -0.338
C -0.236 1.022 0.531  0.533
N -0.053 2.273 0.948  -0.313
C 0.133 2.743 2.315  -0.421
C 0.008 3.111 -0.159  -0.065
C -0.230 2.353 -1.244  -0.054
C -0.180 -0.326 -2.847  0.313
O 0.857 0.485 -3.188  -0.504
C 1.678 0.086 -4.316  -0.254
C -0.628 -1.412 -3.625  -0.343
C -1.640 -2.236 -3.136  -0.153
C -2.314 -1.949 -1.948  -0.325
H -3.929 -0.274 1.257  0.237
H -4.610 -0.710 -0.358  0.172
H -3.626 -1.907 0.575  0.184
H -0.220 1.989 3.023  0.281
H 1.194 2.970 2.497  0.210
H -0.451 3.661 2.456  0.210
H 0.203 4.161 -0.065  0.230
H -0.289 2.607 -2.285  0.241
H 2.459 0.843 -4.366  0.206
H 2.117 -0.907 -4.144  0.190
H 1.100 0.076 -5.252  0.182
H -0.158 -1.616 -4.590  0.224
H -1.931 -3.112 -3.714  0.220
H -3.147 -2.556 -1.593  0.230

Summary:
- E_HOMO (eV) = -6.90
- charge = 0

## B
Entry from the OMol25 dataset: a single C19H20N2O3 molecule (wB97M-V/def2-TZVPD).

Each line ends with the natural charge from an NBO analysis.
CARTESIAN COORDINATES (ANGSTROEM)
C -0.804 5.454 -0.589  -0.714
C -0.062 4.142 -0.724  0.691
O 1.118 4.050 -0.931  -0.546
N -0.924 3.072 -0.571  -0.641
C -0.624 1.739 -0.650  0.466
N 0.604 1.389 -0.973  -0.466
C 0.932 0.108 -1.065  0.308
C 2.361 -0.169 -1.407  -0.443
C 3.257 0.079 -0.184  -0.382
C 2.988 -0.866 0.991  -0.222
C 3.731 -0.370 2.229  -0.597
C 3.412 -2.299 0.675  -0.606
C 0.018 -0.910 -0.825  -0.331
C -1.292 -0.586 -0.478  0.162
C -1.644 0.776 -0.390  -0.308
C -2.999 1.174 -0.050  0.786
O -3.394 2.324 0.035  -0.606
O -3.907 0.201 0.188  -0.468
C -3.598 -1.121 0.128  0.390
C -4.630 -2.012 0.410  -0.266
C -4.390 -3.369 0.371  -0.177
C -3.122 -3.841 0.052  -0.226
C -2.101 -2.960 -0.228  -0.152
C -2.315 -1.578 -0.198  -0.186
H -1.580 5.521 -1.349  0.230
H -1.274 5.518 0.389  0.230
H -0.107 6.278 -0.711  0.239
H -1.904 3.261 -0.350  0.443
H 2.663 0.529 -2.189  0.239
H 2.477 -1.189 -1.772  0.204
H 3.091 1.108 0.137  0.224
H 4.302 -0.017 -0.488  0.204
H 1.913 -0.858 1.209  0.195
H 4.803 -0.351 2.044  0.200
H 3.411 0.636 2.491  0.210
H 3.541 -1.022 3.079  0.205
H 3.230 -2.945 1.532  0.209
H 2.859 -2.701 -0.171  0.198
H 4.473 -2.335 0.439  0.203
H 0.331 -1.937 -0.910  0.215
H -5.601 -1.614 0.656  0.232
H -5.187 -4.062 0.590  0.221
H -2.935 -4.904 0.024  0.219
H -1.124 -3.343 -0.471  0.215